MIO-ECSDE is a partner in the project proposal “BlueGreen Med-CS” which is in the process of securing the funds to be launched. It was labeled by the Union for the Mediterranean in 2014. Through a capacity building programme and a small grants scheme, the project will enable NGOs to acquire skills in various areas of sustainable development. Throughout the process, the relevant public authorities will be constantly informed of and involved in the activities organised in order to strengthen the dialogue between CSOs and national authorities. It will eventually be implemented in Albania, Algeria, Lebanon, Morocco and Tunisia.

The overall goal of the project is to strengthen existing, and promote new, cooperation and financial opportunities among Euro-Mediterranean Civil Society Organisations (CSOs) dedicated to water and environment, thereby maximising their contribution to sustainable development in the region.
In particular, the project aims to:
- Reinforce the participation and cooperation of southern CSOs in various areas including wetlands, integrated water resources management, environmental education and awareness as well as marine litter, through an integrated and interactive capacity building programme that brings together technical and organisational expertise and tools.
Attached: data records >
=====
The following is a PBE calculation of Y3Er3TmTe8 after structural relaxation, from Alexandria.

Unit cell a=8.6482 b=8.6489 c=8.6536 alpha=119.98 beta=90.00 gamma=120.00
With the nearest neighbours (Å) after each atom.
Fractional positions:
Te (0.2561, 0.0025, 0.2489)  2 Er 3.04, 2 Y 3.07, 1 Tm 3.10
Te (0.2513, 0.5025, 0.2537)  3 Er 3.04, 3 Y 3.07
Te (0.7464, 0.4928, 0.2489)  2 Er 3.04, 2 Y 3.07, 1 Tm 3.10
Te (0.7464, 0.0025, 0.2490)  2 Er 3.04, 2 Y 3.07, 1 Tm 3.10
Te (0.7487, 0.4975, 0.7463)  3 Er 3.04, 3 Y 3.07
Te (0.2536, 0.5072, 0.7511)  2 Er 3.04, 2 Y 3.07, 1 Tm 3.10
Te (0.2536, 0.9975, 0.7510)  2 Er 3.04, 2 Y 3.07, 1 Tm 3.10
Te (0.7439, 0.9975, 0.7511)  2 Er 3.04, 2 Y 3.07, 1 Tm 3.10
Tm (0.0000, 0.0000, 0.5000)  6 Te 3.10
Er (0.5000, 0.5000, 0.5000)  6 Te 3.04
Er (0.0000, 0.5000, 0.5000)  6 Te 3.04
Er (0.5000, 0.0000, 0.5000)  6 Te 3.04
Y (0.0000, 0.5000, 0.0000)  6 Te 3.07
Y (0.0000, 0.0000, 0.0000)  6 Te 3.07
Y (0.5000, 0.5000, 0.0000)  6 Te 3.07

Computed properties:
**D(E_F)**: 6.76 states/eV/f.u.
**Space-group type**: R-3m
**E_form (uncorrected)**: -1.340 eV/atom
**DFT total energy**: -0.406 Ry/atom

---

The following is a PBE calculation of Ti2H3O6 after structural relaxation, from Alexandria.

Unit cell a=5.3859 b=5.4040 c=9.8034 alpha=70.87 beta=74.06 gamma=60.11
With the nearest neighbours (Å) after each atom.
Fractional positions:
Ti (0.6850, 0.1529, 0.0080)  6 O 1.88-2.08
Ti (0.3150, 0.8471, 0.9920)  6 O 1.88-2.08
Ti (0.1541, 0.6529, 0.5080)  6 O 1.88-2.08
Ti (0.8459, 0.3471, 0.4920)  6 O 1.88-2.08
O (0.4482, 0.1362, 0.8779)  1 H 1.20
O (0.5378, 0.6362, 0.3779)  1 H 1.20
O (0.0543, 0.9541, 0.6179)  1 H 1.02
O (0.3737, 0.4540, 0.1179)  1 H 1.02
O (0.5518, 0.8638, 0.1221)  1 H 1.20
O (0.6263, 0.5460, 0.8821)  1 H 1.02
O (0.9724, 0.0416, 0.1194)  1 H 1.53
O (0.1335, 0.4584, 0.3806)  1 H 1.53
O (0.9457, 0.0459, 0.3821)  1 H 1.02
O (0.4622, 0.3638, 0.6221)  1 H 1.20
O (0.8665, 0.5416, 0.6194)  1 H 1.53
O (0.0276, 0.9584, 0.8806)  1 H 1.53
H (0.0569, 0.9349, 0.7246)  1 O 1.02
H (0.9431, 0.0651, 0.2754)  1 O 1.02
H (0.7164, 0.5651, 0.7754)  1 O 1.02
H (0.4555, 0.2500, 0.7500)  2 O 1.20
H (0.2836, 0.4349, 0.2246)  1 O 1.02
H (0.5445, 0.7500, 0.2500)  2 O 1.20

Computed properties:
**D(E_F)**: 7.73 states/eV/f.u.
**Space-group type**: C2/c
**DFT total energy**: -0.513 Ry/atom

---

The following is a PBE calculation of NaDyCd14 after structural relaxation, from Alexandria.

Unit cell a=6.5298 b=6.5298 c=8.7126 alpha=90.00 beta=90.00 gamma=90.00
With the nearest neighbours (Å) after each atom.
Fractional positions:
Cd (0.6234, 0.6234, 0.7568)  10 Cd 3.12-3.29, 1 Na 3.20, 1 Dy 3.23
Cd (0.1266, 0.6234, 0.2432)  10 Cd 3.12-3.29, 1 Na 3.20, 1 Dy 3.23
Cd (0.8750, 0.3750, 0.5000)  8 Cd 3.21-3.22, 2 Dy 3.26, 2 Na 3.26
Cd (0.3750, 0.8750, 0.5000)  8 Cd 3.21-3.22, 2 Dy 3.26, 2 Na 3.26
Cd (0.6234, 0.1266, 0.2432)  10 Cd 3.12-3.29, 1 Na 3.20, 1 Dy 3.23
Cd (0.6234, 0.1266, 0.7568)  10 Cd 3.12-3.29, 1 Na 3.20, 1 Dy 3.23
=====
- Strengthen existing dialogue between civil society, public authorities and other relevant stakeholders through concrete actions and innovative participation mechanisms.
Built on a regional perspective and multistakeholder approach, the BLUEGREEN MED-CS will strengthen the capacity of selected CSOs in five Mediterranean countries with the aim to turn them into knowledgeable and credible interlocutors when it comes to water and environment policies. Over the three years of duration, mechanisms for their effective participation will be identified, and promoted, in close collaboration with the national authorities. The selected CSOs will benefit from capacity building activities (e.g. on-job trainings, face-to-face trainings, regional study visits) tailored according to their capacity. The project will distinguish between CSOs which already have a solid organizational structure but lacking specific technical capacity, and those that need to strengthen their managerial and organizational capacity before getting engaged into more complex technical issues. A small grants scheme will be linked to the capacity building work package so that the acquired capacities will allow the best implementation of the grant on relevant conservation and sustainable development issues; this is a crucial tool since, based on the longstanding experience of the project promoters, the limited field experience is the main weakness of most Mediterranean CSOs.
This UfM project builds and further enhances on-going regional projects in the field of learning-by-doing capacity building activities.
The key partners of the project are:
- IME: Mediterranean Water Institute (http://www.ime-eau.org)
- IUCN-Med: Centre for Mediterranean Cooperation (https://www.iucn.org/about/union/secretariat/offices/iucnmed/iucnmed_about/)
- MIO-ECSDE: Mediterranean Information Office for Environment, Culture and Sustainable Development (www.mio-ecsde.org)
- RAED: Arab Network for Environment and Development (http://www.raednetwork.org/)
- WWF MedPO: WWF Mediterranean Programme Office (http://mediterranean.panda.org/)
The project partners have a strong and inter-complementary set of skills and experience which are key for the success of the project:
- Solid partnerships and on-going projects in the target countries relevant to achieve the project’s objectives;
- Long-standing experience in building the capacity of Mediterranean CSOs and in working with public administrations and other stakeholders at local/national/regional level;
- Proven technical capacity in a wide range of water and environment issues;
- Wide experience in working in complex, multi-country projects.
Funding sources: Under exploration. The key project partners are contributing €571,180 (20% of the overall budget)
Project Duration: 2015–2018 (36 months)
Project budget: € 2.855.900
- Level of completion 10%